Any ideas when the ipod/phone application is going to be released?


  • It's been sent to Apple for their 'pre-release checks', so we're just waiting for Apple to accept and publish it in the App Store.

    - Strike that, I've just been informed by Marketing that they've decided to hold off on release of the iRFR until Eos/Ion 1.5 is released, as it's not supported in Eos/Ion 1.4.5.

    Latest update from Anne is that we're now hoping for end-of-May for both releases. A few annoying bugs were discovered recently that we'd really like to squash.

    [edited by: Richard at 4:39 AM (GMT -6) on Mon, May 4 2009]
  • This really sucks for the Congo users that could be using it now!  If the app is really ready and has been sent to Apple for approval, why can't they release it with a warning that it won't be available for the Eos until 1.5?  Then the Congo users can "beta test" it before the Eos/Ion users have it working for them.    It doesn't seem fair to make us wait just because the Eos guys have to wait.  Which brings up the question, if it was ready for the Eos now  and it wouldn't work for Congo until v6 (rumored to be out this summer), would they hold off on the release until Congo had their update?

    [edited by: lidgett at 7:52 AM (GMT -6) on Fri, May 1 2009]
  • I'll add my vote for that sucking, if it's ready to go for Congo users, waiting for "marketing reasons" after dangling it infront of us and announcing it as "soon" is really sucky. 


  • And If we are taking votes, I am with them.  And I am more of an EOS/ION guy by far than a Congo guy. 


    But that's just my .0015  (the economy really sucks right now, doesn't it)



  • Another vote for this sucks.  We are getting ready for a new series which will involve a complete redesign and iRFR would be immensely helpful.  Seems to me, the Congo users could begin working with it and provide valuable feedback.  What kind of marketing is that to have a product ready to go and continue to dangle it in front of your users?  First the product was announced in an article that made it sound like it was available, then we were lead to believe it would be coming soon, now we're being told its ready to go but you're going to hold it until your other software is completed.  Help us out here, wheres the logic?

    [edited by: FCCJake at 8:20 PM (GMT -6) on Sat, May 2 2009]
  • I think you guys didn't get it... As Sarah told us, they sent iRFR to Apple for APPROVAL. It is totally up to Apple to decide whenever they make it appear on the App Store. It may take weeks...

  • Sorry SDum read Richard's Post where he clearly states in change to the possition you mention  "Strike that, I've just been informed by Marketing that they've decided to hold off on release of the iRFR until Eos/Ion 1.5 is released, as it's not supported in Eos/Ion 1.4.5."

    It may take weeks anyway, I think people are just annoyed that us Congo users could use it now, but we've got to wait for a software release for another platform. I suppose I'm also concerned as this appears to give the impression of Congo playing second fiddle to the EOS platform, which I hope not to be the case.


  • Oops... i guess i missed that info. mea culpa maxima...  Sorry richard. it is clear for me now and i totally agree with your statement.

-- Calculated molecules, kept here for reference --
+++
Entry 1:
{
  "formula": "C2H3N2O2",
  "method": "the ωB97M-V functional and the def2-TZVPD basis",
  "elements": ["C", "C", "N", "N", "O", "O", "H", "H", "H"],
  "xyz": [[-1.9957, 0.2019, -0.2172], [-0.6488, 0.1182, 0.0832], [0.1845, 1.0769, 0.1105], [2.3228, -0.1255, -0.0396], [3.4391, 0.3655, -0.1036], [2.0782, -1.2954, 0.2376], [-2.6664, -0.6170, -0.0047], [-2.4432, 1.1601, -0.4170], [-0.2703, -0.8845, 0.3508]],
  "forces_ev_per_a": [[-0.8, 0.4, 0.0], [0.7, -1.4, 0.0], [0.5, 1.0, 0.0], [-2.0, 1.1, -0.3], [0.5, -0.7, 0.2], [1.0, -0.4, 0.1], [0.0, -0.2, 0.0], [-0.1, 0.2, -0.2], [0.2, 0.0, 0.0]],
  "charge": -1,
  "homo_ev": [-2.99, -2.91],
  "relative_energy_kcal_mol": 114.8,
  "homo_lumo_gap_ev": [6.750, 6.038],
  "e_lumo_ev": [3.8, 3.1]
}

***

Entry 2:
{
  "formula": "C2H3N2O2",
  "method": "the ωB97M-V functional and the def2-TZVPD basis",
  "elements": ["C", "C", "N", "N", "O", "O", "H", "H", "H"],
  "xyz": [[1.2147, -0.0216, -1.9305], [-1.1748, 0.1785, 1.1264], [-0.7018, 0.4479, 2.2644], [0.1118, -0.3537, -1.3324], [1.9601, 0.7386, -2.5207], [1.2029, -1.3353, -1.4745], [-2.2762, 0.5474, 1.1027], [-0.5994, -0.3464, 0.2048], [0.2627, 0.1447, 2.5598]],
  "forces_ev_per_a": [[-0.9, -0.1, 0.5], [-0.4, -0.7, -0.6], [0.8, 0.2, 1.8], [-1.3, 2.6, -1.0], [-0.3, -0.5, 0.3], [3.0, -2.2, -0.6], [1.6, -0.6, -0.8], [-1.5, 1.3, 1.7], [-1.0, 0.1, -1.4]],
  "charge": -1,
  "homo_ev": -3.11,
  "relative_energy_kcal_mol": 61.5,
  "homo_lumo_gap_ev": 7.486,
  "e_lumo_ev": 4.4
}

***

Entry 3:
{
  "formula": "C2H3N2O2",
  "method": "the ωB97M-V functional and the def2-TZVPD basis",
  "elements": ["C", "C", "N", "N", "O", "O", "H", "H", "H"],
  "xyz": [[0.3251, -0.1993, 0.0939], [0.8647, -0.0959, -3.1851], [1.3205, -0.5010, 0.5895], [-0.9253, 0.0392, -0.1447], [0.6324, -0.2878, -4.2690], [1.0429, 0.1266, -2.0931], [2.1883, -0.4153, 1.1588], [-1.2945, 0.0106, -1.0249], [-1.5219, -0.0181, 0.6233]],
  "forces_ev_per_a": [[-0.1, -0.3, 1.2], [-0.4, -0.2, -2.1], [0.8, 0.3, 0.8], [2.6, 0.0, 0.9], [-0.4, -0.7, -2.9], [0.9, 0.9, 4.3], [-1.0, -0.1, -1.1], [-1.0, 0.1, -2.8], [-1.3, -0.1, 1.5]],
  "charge": 1,
  "homo_ev": -17.20,
  "relative_energy_kcal_mol": 8.3,
  "homo_lumo_gap_ev": 12.741,
  "e_lumo_ev": -4.5
}

***

Entry 4:
{
  "formula": "C2H3N2O2",
  "method": "the ωB97M-V functional and the def2-TZVPD basis",
  "elements": ["C", "C", "N", "N", "O", "O", "H", "H", "H"],
  "xyz": [[0.1688, -0.3187, -1.6743], [0.6659, 0.2090, 0.5282], [-0.1325, -0.2503, -2.8075], [-0.1654, -0.1429, -0.3550], [1.4044, 0.5126, 1.3200], [-0.1684, -0.3170, -3.9566], [-0.5527, 0.5593, 3.7227], [-0.0845, 0.1051, 3.2948], [-1.1356, -0.3572, -0.0723]],
  "forces_ev_per_a": [[5.5, -2.5, 1.8], [0.0, 0.8, 1.0], [-3.2, 2.0, 1.1], [-3.1, 0.3, 0.4], [0.6, -0.1, 0.0], [0.0, -0.5, -4.8], [0.7, -0.7, -0.7], [-0.8, 0.7, 0.8], [0.3, 0.0, 0.5]],
  "charge": 1,
  "s_squared": 2.0087,
  "homo_ev": [-11.99, -15.94],
  "relative_energy_kcal_mol": 119.0,
  "homo_lumo_gap_ev": [5.873, 7.880],
+++
-- Here the entry continues --



  • Oops, I made a bit of a mistake at the top, and unleashed a storm...

    There are a few annoyances in the iRFR on Congo as well as the bugs in Eos/Ion.

    Marketing decided that as the pushback of Eos/Ion meant that half the users wouldn't be able to use it yet, we should take some extra time to clear up some of those iRFR issues before releasing.

    [edited by: Richard at 4:56 AM (GMT -6) on Mon, May 4 2009]
  • Hi guys -

    I understand your unhappiness with this situation, however either way 1/2 of our users would end up upset and/or confused. It's really not about one platform taking precedence over another. Unfortunately, you all have a wait a little bit before you pay for your iRFR application, instead of having an equal number of you upset that you had paid for the app and could not get it to run with your Eos/Ion without v1.5. Either way, it was going to be bad for someone. For this I apologize. In the mean time, we (ETC) have learned a lot about Apple's not-too-convenient method of getting software posted to the iTunes store and we have taken the opportunity to make some additional small improvements in the iRFR software. So please, bear with us.

    Thanks very much for your patience -


  • The real cynic in me might be tempted to speculate that there never was such an application. The manufacturer was testing the water to find out if there was enough demand before going to the expense of writing the software.

    Most lighting desk companys I know frequently release software complete with bugs,  ETC being no exception so why the concern over this I don't know.

    Anyway, theres no place for cynics here so I'll shut up and keep waiting.



  • Actually, the app does exist.  It was shown working at the ETC Booth during USITT in March. 

    What is annoying is that users of these young desks, both the Congo and the Eos, have gone through "buggy" stages of the software, and even with all the testing in the world, some bugs will always get through.  But releases put out to people working with the product exposes the bugs, meaning they can be identified and fixed faster.  (Look at Microsoft, oh wait, bad example!)  Anyway, unless the app is actually crashing the desk or the iPod, I still want to play with it! 

    If it was truly a late May release, I could deal with it, but we all know that these software releases get pushed beyond the expected drop date, so I wouldn't expect Eos 1.5 to be released until late June, so maybe this app will be available in July.  I hope I'm wrong, though, and it is released on time.

  • Sara,

    Respectfully...the only people this change effects is the congo users.  The Eos/Ion users can't get it either way until you release their new version of the software.  However the congo users could be testing and working out bugs for you right now.  So I guess what I hear you saying is that it's better to have everyone upset instead of half of your users.  The reality is the reason the Congo users are upset is that the software is "ready" but we can't use it because you want to wait for another set of users to be able to use it right when released.

    This is frustrating...not just because of the timing of this being pushed back.  First we got the spotlight update via email talking about the product...I and several Houston area LD's immediately went online to look up the software at the app store.  Nothing was mentioned about "coming soon" or anything like that.  So then we looked at your website where there was info on how to get this etc.  Still no software...very confusing.  Our next step was to go to forums and check on when the software would be released.  We had been waiting and waiting...and then got the update that the software was sent to apple for review and would be out when released.  

    After all this now your telling us you are going to wait at minimum another month to appease the Eos/Ion customers.  Does it really make Eos/ion customers mad that Congo users will get this available to them first.  I have to say the marketing has not just been confusing on this item...but very, very poor. 

    This has been a really poorly handled process by ETC.



    LD, Houston TX

  • Dear Matt and all,

## Molecular data, kept here for reference
=====
No. 1
Computed, not measured: 7 unconnected molecules or ions with the total composition C40H54BrF6O21PS at a distorted geometry, with ωB97M-V/def2-TZVPD.

Geometry as XYZ:
```
124
Properties=species:S:1:pos:R:3:forces:R:3
C -1.1850 5.0011 8.9501 -0.04 0.14 -0.31
C -2.2842 5.0362 7.8790 -0.10 -0.20 1.05
C -3.6969 4.7587 8.4655 0.56 0.01 -1.01
C -4.4841 3.6826 7.7013 -0.16 -0.10 0.43
C -4.5613 2.3254 8.4223 0.59 0.48 -0.31
C -3.5139 1.3275 7.9292 -0.29 -0.32 -0.33
C -4.0822 0.2519 7.0046 0.21 -0.44 0.72
C -3.0187 -0.7990 6.6573 0.38 0.49 -0.67
C -2.7077 -0.8935 5.1532 -0.89 -0.35 0.53
C -3.7086 -1.8058 4.4084 0.43 0.00 0.58
C -3.0928 -2.8794 3.5166 -0.07 0.49 -0.52
C -1.9052 -2.4517 2.6447 -0.42 -0.28 -0.38
C -2.2222 -1.8809 1.2903 -0.06 0.14 -0.05
C -1.4560 -2.0702 0.2086 -0.20 -0.03 -0.07
C -0.1859 -2.8395 0.1437 0.08 -0.17 -0.32
C 1.0065 -1.9435 0.4477 -0.73 0.22 -0.19
O 1.2103 -1.1324 -0.6972 0.16 -0.34 0.09
C 2.5378 -0.7089 -0.8895 0.43 0.48 -0.63
C 2.7974 -0.6558 -2.3832 -0.42 -0.37 0.38
C -1.8565 -1.4244 -1.0762 -0.01 -0.12 -0.80
O -1.7158 -1.9485 -2.1660 0.10 0.52 0.77
C -2.4375 -0.0481 -0.9308 0.10 0.19 0.60
P -2.1310 1.2354 -2.1733 -1.52 -0.13 -0.61
S -3.7480 1.6052 -3.2130 0.35 0.13 0.04
C -3.1872 0.1425 0.1654 0.31 0.43 -0.69
Br -3.9814 1.7830 0.6305 0.01 -0.33 -0.05
C -3.4289 -1.0289 1.0738 -1.07 -0.31 0.45
O -4.5388 -1.2596 1.5206 1.10 0.42 -0.35
H -0.3879 5.6986 8.7209 0.22 0.14 -0.07
H -1.5872 5.2786 9.9166 -0.01 0.05 0.28
H -0.7281 4.0218 9.0230 -0.01 -0.29 0.18
H -2.0644 4.2763 7.1418 0.11 0.07 -0.47
H -2.2741 6.0234 7.4383 -0.03 0.10 -0.47
H -3.5772 4.4910 9.5070 -0.24 -0.05 0.31
H -4.2537 5.6847 8.3911 -0.16 0.23 0.34
H -4.0244 3.5225 6.7321 0.02 0.06 -0.35
H -5.4811 4.0614 7.5074 -0.28 -0.02 -0.02
H -4.3770 2.5001 9.4749 -0.26 0.02 0.35
H -5.5556 1.9145 8.3103 -0.25 -0.26 0.06
H -3.0670 0.8063 8.7679 0.20 -0.08 0.25
H -2.7073 1.8224 7.3916 0.22 0.27 0.09
H -4.8705 -0.2348 7.5706 -0.44 -0.03 -0.12
H -4.5141 0.6967 6.1147 -0.16 0.07 -0.23
H -2.0902 -0.5108 7.1430 0.16 0.03 0.28
H -3.2693 -1.7863 7.0291 -0.14 -0.19 0.15
H -1.6868 -1.2417 5.0659 0.25 -0.04 -0.31
H -2.8157 0.1093 4.7537 0.52 0.28 -0.24
H -4.4203 -1.1983 3.8694 -0.12 0.09 -0.29
H -4.2830 -2.3230 5.1703 -0.27 -0.17 0.10
H -3.8650 -3.2319 2.8423 -0.21 -0.25 -0.03
H -2.7834 -3.7387 4.0972 0.19 -0.10 0.34
H -1.2433 -1.7501 3.1436 0.09 0.14 0.23
H -1.3158 -3.3339 2.4639 0.34 -0.22 0.02
H -0.0525 -3.1578 -0.8850 0.00 -0.26 -0.18
H -0.1916 -3.7261 0.7639 -0.01 -0.06 0.35
H 1.8675 -2.5684 0.6587 0.36 0.04 0.08
H 0.7629 -1.2880 1.2816 0.29 -0.09 0.46
H 2.7156 0.2851 -0.4813 -0.16 0.18 0.41
H 3.2530 -1.3880 -0.4306 0.00 -0.21 0.33
H 1.8709 -0.3411 -2.8461 -0.08 0.29 -0.34
H 3.0073 -1.6554 -2.7396 0.10 -0.15 -0.25
H 3.6114 0.0079 -2.6372 0.23 0.13 -0.13
H -1.6736 2.3222 -1.4170 0.31 -0.10 0.07
H -1.0629 0.8095 -2.9704 0.27 -0.11 0.39
O 6.0004 3.6558 -3.8789 0.12 -0.03 -0.04
C 4.8551 3.4778 -4.1138 -0.05 0.08 -0.08
O 3.9339 4.4496 -4.2884 -0.10 -0.15 0.02
=====

    Matt's last point is the one that really is correct. It has been badly handled by ETC.I am the one this should reflect on and I apologize to you all.

    First of all we should not have promoted this until it was ready. That is really the core issue. Iphone apps are a new area for us and we are amazed by the response. We are accustomed to taking our dear sweet time and testing things to death. That is our way and NOT the way of the App store.

    Secondly we should not have said it was sent to the app store for review by Apple - since to date it has not been sent even now. We had ETC people reporting hear-say that was simply not accurate.

    Thirdly the report that we were delaying to reduce confusion on behalf of Eos/Ion users should not have been reported here since the fact is that the software is simply still not ready! The fact that it would have produced confusion is really true. This is a fact that we at ETC have to take in to account for ourselves and you people as the user group should not have to understand these issues or be informed of them. They should never have been presented to you. I apologize for that.

    But fear not. We will eventually release the app and you will no doubt enjoy using it. We have learned a little about what we should not do. And I apologize our bad handling of this.


    David Lincecum

    Marketing Manager - ETC

  • David,

    Thank you for your candor about this issue.  It seems the misinformation was giving us Congo users a "second-class citizen" complex, and I appreciate your honesty. 

    Something is troubling me, however.  On the wiki pages for setups on the iRFR (which I have also been following for some sort of release) they mention on the EOS information page that the encoders and color picker aren't functional for the Congo system.  Is this a temporary thing, hopefully fulfilled in v6 or soon after, or is this just how the RFR talks to Congo?  I assume one would still be able to use the wheels to play with attributes, just not have the pretty interface, right?  One of the reasons I'm excited about this product is that when I purchased my Congo several years ago, the RFR was not available, and I got a cRRFU.  While it works great for some things, it doesn't do everything the RFR does (attributes, patch, etc.) and I don't want to be all excited about getting the app and find out it just does exactly what my cRRFU does, without all the improvements the RFR came with (unfortunately, not a justifiable expense since I have the other remote, but I already have an iPod touch and would gladly shell out $50 for the additional conveniences).
